A dome () is an architectural element similar to the hollow upper half of a sphere. There is significant overlap with the term cupola, which may also refer to a dome or a structure on top of a dome. The precise definition of a dome has been a ...
is a self-supporting structural element of architecture that resembles the hollow upper half of a sphere.
Every dome in the world which was the largest dome of its time is listed below. The defining criterion is in each case the inner diameter of the largest circular cross-section of the dome.
This list excludes dome-shaped structures that are not self-supporting such as
The O2
The O2 is a large entertainment district on the Greenwich peninsula in South East London, England, including an indoor arena, a music club, a Cineworld cinema, an exhibition space, piazzas, bars, and restaurants. It was built largely with ...
in London which is in diameter and supported by masts.
Below is a list of buildings that have held the title of the largest dome in the world.
By continent
These crystal structures were left in the piece by mistake:
- - -
Diffraction record for BaCaNiF7. The X-ray diffraction stick pattern is theoretical, not measured: it uses a structure optimized by DFT (PBE+U) and λ = 1.5418 Å (Cu Kα).

Cell lengths 5.621, 10.940, 9.535 Å; angles 90.00, 92.43, 90.00 degrees
Fractional coordinates of all 40 atoms:
Ba  0.230  0.154  0.478
Ba  0.230  0.346  0.978
Ba  0.770  0.654  0.022
Ba  0.770  0.846  0.522
Ca  0.222  0.573  0.361
Ca  0.222  0.927  0.861
Ca  0.778  0.073  0.139
Ca  0.778  0.427  0.639
Ni  0.304  0.654  0.700
Ni  0.304  0.846  0.200
Ni  0.696  0.154  0.800
Ni  0.696  0.346  0.300
F  0.030  0.733  0.771
F  0.030  0.767  0.271
F  0.113  0.525  0.143
F  0.113  0.975  0.643
F  0.148  0.513  0.612
F  0.148  0.987  0.112
F  0.217  0.733  0.527
F  0.217  0.767  0.027
F  0.400  0.559  0.856
F  0.400  0.941  0.356
F  0.415  0.108  0.901
F  0.415  0.392  0.401
F  0.495  0.709  0.272
F  0.495  0.791  0.772
F  0.505  0.209  0.228
F  0.505  0.291  0.728
F  0.585  0.608  0.599
F  0.585  0.892  0.099
F  0.600  0.059  0.644
F  0.600  0.441  0.144
F  0.783  0.233  0.973
F  0.783  0.267  0.473
F  0.852  0.013  0.888
F  0.852  0.487  0.388
F  0.887  0.025  0.357
F  0.887  0.475  0.857
F  0.970  0.233  0.729
F  0.970  0.267  0.229

Principal peaks in the range 5 to 70 degrees two-theta, in order of rising 2θ:
d 3.662, 24.30°, intensity 1000, (1 2 -1)
d 3.587, 24.82°, intensity 396, (1 2 1)
d 3.514, 25.34°, intensity 426, (1 1 -2)
d 3.384, 26.34°, intensity 520, (1 1 2)
d 3.050, 29.29°, intensity 228, (0 1 3)
d 2.808, 31.87°, intensity 253, (2 0 0)
d 2.394, 37.56°, intensity 334, (0 3 3)
d 2.372, 37.93°, intensity 301, (2 0 2)
d 2.183, 41.36°, intensity 340, (0 2 4)
d 1.754, 52.15°, intensity 225, (3 2 -1)
- - -
So much for the crystal structures:
Below is a list of buildings that have held the title of the largest dome on their continent.
In the first half of the 1980s a dome with a diameter of was built near Istra, Russia. It collapsed on January 25, 1986
In 1990, the diameter building named "Kupolen" (the Dome) was completed in Borlänge, Sweden. Originally an exposition hall with a few stores at ground level, today a mall in three level
North America
South America
**Someone pasted data records at this point**
/*
Diffraction record for Tb5HoTh. The PXRD pattern is calculated, not measured: it uses a structure optimized by DFT (GGA-PBE) and CuKα.
No peak broadening, texture or thermal motion is included.

Principal peaks in the range 2θ = 10–80°, in order of rising 2θ:
2θ (°), I (rel.)
23.67, 18
27.74, 18
30.55, 45
31.25, 35
31.49, 21
32.06, 100
32.36, 13
32.58, 36
34.58, 24
36.03, 26
41.40, 12
49.10, 12

Structure:
Cell lengths 6.129, 17.560, 8.660 Å; angles 90.00, 101.59, 90.00 degrees
Space group C2/c (No. 15)
Asymmetric unit:
Tb1 0.000 0.148 0.250
Tb2 0.115 0.346 0.963
Tb3 0.200 0.186 0.645
Ho1 0.000 0.487 0.250
Th1 0.000 0.000 0.000

~~~~~

Diffraction record for CaCoRe. The powder XRD pattern is theoretical, not measured: it uses a DFT-relaxed cell (PBE, Alexandria) and CuKα.

Peak list (10 most intense, 10 to 90 degrees two-theta, by angle)
d_spacing  intensity
4.488  100.0
3.824  17.5
2.772  17.9
2.664  19.5
2.315  34.7
2.244  40.3
2.184  56.1
2.092  29.7
1.699  21.6
1.332  13.4

Cell and atoms:
a b c (Å): 5.341 5.341 5.000
angles (deg): 117.84 117.84 91.44
Positions (direct):
1 Ca 0.127 0.873 0.500
2 Ca 0.873 0.127 0.000
3 Co 0.000 0.501 0.755
4 Co 0.501 0.000 0.255
5 Re 0.471 0.528 0.813
6 Re 0.528 0.471 0.313

~~~~~

Entry 1:
PmSbPt2: simulated powder XRD pattern (λ = 1.5418 Å (Cu Kα)), based on a structure optimized by DFT (PBE).
Neutral-atom scattering factors, no anomalous dispersion.

Largest 6 diffraction maxima, by angle, 2θ = 10–90°:
2theta	I (rel.)
17.85	22
33.13	100
37.88	33
39.72	94
52.65	27
67.92	25

Crystal structure
```
data_PmSbPt2
_cell_length_a 4.5387
_cell_length_b 4.5387
_cell_length_c 14.9046
_cell_angle_alpha 90.00
_cell_angle_beta 90.00
_cell_angle_gamma 120.00
_symmetry_space_group_name_H-M 'R -3 m'
_symmetry_Int_Tables_number 166
_symmetry_space_group_name_Hall '-R 3 2"'
loop_
_atom_site_label
_atom_site_type_symbol
_atom_site_fract_x
_atom_site_fract_y
_atom_site_fract_z
Pm1 Pm 0.0000 0.0000 0.0000
Sb1 Sb 0.0000 0.0000 0.5000
Pt1 Pt 0.0000 0.0000 0.2166
```


Entry 2:
CrP5Pb2: simulated powder XRD pattern (λ = 1.5418 Å (Cu Kα)), based on a structure optimized by DFT (PBE).
Neutral-atom scattering factors, no anomalous dispersion.

Largest 6 diffraction maxima, by angle, 2θ = 10–90°:
2theta	I (rel.)
20.95	86
25.41	100
26.05	77
33.17	59
39.12	42
40.43	61

Crystal structure
```
data_CrP5Pb2
_cell_length_a 16.481
_cell_length_b 5.246
_cell_length_c 10.329
_cell_angle_alpha 90.00
_cell_angle_beta 124.81
_cell_angle_gamma 90.00
_symmetry_space_group_name_H-M 'C 1 2/m 1'
_symmetry_Int_Tables_number 12
loop_
_symmetry_equiv_pos_as_xyz
'x,y,z'
'-x,-y,-z'
'-x,y,-z'
'x,-y,z'
'x+1/2,y+1/2,z'
'-x+1/2,-y+1/2,-z'
'-x+1/2,y+1/2,-z'
'x+1/2,-y+1/2,z'
loop_
_atom_site_label
_atom_site_type_symbol
_atom_site_fract_x
_atom_site_fract_y
_atom_site_fract_z
Cr1 Cr 0.154 0.000 0.180
P1 P 0.000 0.301 0.500
P2 P 0.017 0.000 0.913
P3 P 0.204 0.289 0.374
P4 P 0.249 0.000 0.086
Pb1 Pb 0.043 0.500 0.801
Pb2 Pb 0.178 0.000 0.749
```


Entry 3:
*/
By structure
Below is a list of buildings that have held the title of the largest dome in terms of their structure.
Famous large domes
Below is a list of large domes which are considered particularly important for various reasons but have never held the title of the largest dome in the world.
See also
List of tallest domes
List of Roman domes
This is a list of Roman domes. The Romans were the first builders in the history of architecture to realize the potential of domes for the creation of large and well-defined interior spaces. Domes were introduced in a number of Roman building ...
{{DEFAULTSORT:Largest Domes
Lists of construction records
A dome () is an architectural element similar to the hollow upper half of a sphere. There is significant overlap with the term cupola, which may also refer to a dome or a structure on top of a dome. The precise definition of a dome has been a m ...
A dome () is an architectural element similar to the hollow upper half of a sphere. There is significant overlap with the term cupola, which may also refer to a dome or a structure on top of a dome. The precise definition of a dome has been a m ...